**Request:**
Retype the lines underneath up to the one that holds "_space_group_name_H-M_alt 'F", that line included.
**Given:**
********
[1]
A relaxed structure of TbTm5Pb4. Source: Alexandria via LeMat-Bulk, functional PBE.

Density in Mg/m³: 9.88
Symmetry: C2/m
ΔE_f in eV/f.u.: -1.7
Total moment in μB per atom: 0.00

Cell lengths 8.930, 8.930, 9.704 Å; angles 92.94, 92.94, 23.48 degrees
Element x y z (fractional)
1 Tb 0.000 0.000 0.000
2 Tm 0.000 0.000 0.500
3 Tm 0.308 0.308 0.612
4 Tm 0.345 0.345 0.248
5 Tm 0.655 0.655 0.752
6 Tm 0.692 0.692 0.388
7 Pb 0.183 0.183 0.066
8 Pb 0.475 0.475 0.745
9 Pb 0.525 0.525 0.255
10 Pb 0.817 0.817 0.934

***

[2]
A relaxed structure of CeSm2HoTm. Source: Alexandria via LeMat-Bulk, functional PBE.

Density in Mg/m³: 8.01
Symmetry: P-1
ΔE_f in eV/f.u.: 0.6
Total moment in μB per atom: 0.25

Cell lengths 6.011, 6.762, 8.535 Å; angles 78.33, 71.25, 89.41 degrees
Element x y z (fractional)
1 Ce 0.000 0.000 0.000
2 Ce 0.000 0.500 0.000
3 Sm 0.277 0.308 0.601
4 Sm 0.315 0.628 0.218
5 Sm 0.685 0.372 0.782
6 Sm 0.723 0.692 0.399
7 Ho 0.142 0.817 0.596
8 Ho 0.858 0.183 0.404
9 Tm 0.444 0.134 0.195
10 Tm 0.556 0.866 0.805

***

[3]
A relaxed structure of Ce2DyTmS4. Source: Alexandria via LeMat-Bulk, functional PBE.

Density in Mg/m³: 7.05
Symmetry: P2/m
Uncorrected formation energy in meV per atom: -2017
Total moment in μB per atom: 0.20

Cell lengths 6.799, 3.918, 6.926 Å; angles 90.00, 109.08, 90.00 degrees
Element x y z (fractional)
1 Ce 0.000 0.000 0.000
2 Ce 0.500 0.500 0.000
3 Dy 0.000 0.500 0.500
4 Tm 0.500 0.000 0.500
5 S 0.248 0.000 0.736
6 S 0.258 0.500 0.266
7 S 0.742 0.500 0.734
8 S 0.752 0.000 0.264

***

[4]
A relaxed structure of CaNbPd6. Source: Alexandria via LeMat-Bulk, functional PBE.

Density in Mg/m³: 9.67
Symmetry: P4/mmm
ΔE_f in eV/f.u.: -4.1
Total moment in μB per atom: 0.00

Cell lengths 4.041, 4.041, 8.113 Å; angles 90.00, 90.00, 90.00 degrees
Element x y z (fractional)
1 Ca 0.000 0.000 0.000
2 Nb 0.000 0.000 0.500
3 Pd 0.000 0.500 0.268
4 Pd 0.000 0.500 0.732
5 Pd 0.500 0.000 0.268
6 Pd 0.500 0.000 0.732
7 Pd 0.500 0.500 0.000
8 Pd 0.500 0.500 0.500

* * * * *

# Ca3FeO

Ca3FeO after structural relaxation (PBE with a Hubbard U, Alexandria via LeMat-Bulk).

Cell: 4.872 4.872 4.872 Å, 90.00 90.00 90.00°
Site moments in Bohr magnetons follow the coordinates.
Sites, in units of the cell vectors:
Ca (0.000, 0.500, 0.000)  -0.05
Ca (0.000, 0.000, 0.500)  -0.06
Ca (0.500, 0.000, 0.000)  -0.07
Fe (0.500, 0.500, 0.500)  3.47
O (0.000, 0.000, 0.000)  -0.01

## Properties
Energy relative to the lowest polymorph listed for this composition = 0.000 eV/f.u.
Magnetic moment = 2.96 μB/cell
E_tot = -19.97 eV/f.u.
Symmetry = Pm-3m (221)
Fermi-level density of states = 17.4 states/eV per cell

* * * * *

Compound: Ba2Al3Zn
Source: Alexandria via LeMat-Bulk
Functional: PBE
Structure: relaxed

The structure in CIF format:
```
data_Ba2Al3Zn
_chemical_formula_sum 'Ba16 Al24 Zn8'
_cell_length_a 9.120
_cell_length_b 10.362
_cell_length_c 15.723
_cell_angle_alpha 90.00
_cell_angle_beta 90.00
_cell_angle_gamma 90.00
_space_group_name_H-M_alt 'F m m m'
_space_group_IT_number 69
_space_group_name_Hall '-F 2 2'
loop_
_atom_site_label
_atom_site_fract_x
_atom_site_fract_y
_atom_site_fract_z
Ba1 0.000 0.247 0.000
Ba2 0.250 0.250 0.250
Al1 0.000 0.000 0.332
Al2 0.250 0.000 0.084
Zn1 0.000 0.000 0.167
```

Computed properties:
- DOS at the Fermi energy (states/eV/f.u.) = 5.6
- relative energy among the computed polymorphs (meV per atom) = 5
- formation energy from the elements (eV/f.u.) = -1.014



Compound: TbCd4Au5
Source: Alexandria via LeMat-Bulk
Functional: PBE
Structure: relaxed

The structure in CIF format:
```
data_TbCd4Au5
_chemical_formula_sum 'Tb1 Cd4 Au5'
_cell_length_a 3.504
_cell_length_b 3.504
_cell_length_c 16.619
_cell_angle_alpha 90.00
_cell_angle_beta 90.00
_cell_angle_gamma 90.00
_space_group_name_H-M_alt 'P 4/m m m'
_space_group_IT_number 123
_space_group_name_Hall '-P 4 2'
loop_
_atom_site_label
_atom_site_fract_x
_atom_site_fract_y
_atom_site_fract_z
Tb1 0.000 0.000 0.000
Cd1 0.000 0.000 0.209
Cd2 0.000 0.000 0.403
********
**Written answer:**
[1]
A relaxed structure of TbTm5Pb4. Source: Alexandria via LeMat-Bulk, functional PBE.

Density in Mg/m³: 9.88
Symmetry: C2/m
ΔE_f in eV/f.u.: -1.7
Total moment in μB per atom: 0.00

Cell lengths 8.930, 8.930, 9.704 Å; angles 92.94, 92.94, 23.48 degrees
Element x y z (fractional)
1 Tb 0.000 0.000 0.000
2 Tm 0.000 0.000 0.500
3 Tm 0.308 0.308 0.612
4 Tm 0.345 0.345 0.248
5 Tm 0.655 0.655 0.752
6 Tm 0.692 0.692 0.388
7 Pb 0.183 0.183 0.066
8 Pb 0.475 0.475 0.745
9 Pb 0.525 0.525 0.255
10 Pb 0.817 0.817 0.934

***

[2]
A relaxed structure of CeSm2HoTm. Source: Alexandria via LeMat-Bulk, functional PBE.

Density in Mg/m³: 8.01
Symmetry: P-1
ΔE_f in eV/f.u.: 0.6
Total moment in μB per atom: 0.25

Cell lengths 6.011, 6.762, 8.535 Å; angles 78.33, 71.25, 89.41 degrees
Element x y z (fractional)
1 Ce 0.000 0.000 0.000
2 Ce 0.000 0.500 0.000
3 Sm 0.277 0.308 0.601
4 Sm 0.315 0.628 0.218
5 Sm 0.685 0.372 0.782
6 Sm 0.723 0.692 0.399
7 Ho 0.142 0.817 0.596
8 Ho 0.858 0.183 0.404
9 Tm 0.444 0.134 0.195
10 Tm 0.556 0.866 0.805

***

[3]
A relaxed structure of Ce2DyTmS4. Source: Alexandria via LeMat-Bulk, functional PBE.

Density in Mg/m³: 7.05
Symmetry: P2/m
Uncorrected formation energy in meV per atom: -2017
Total moment in μB per atom: 0.20

Cell lengths 6.799, 3.918, 6.926 Å; angles 90.00, 109.08, 90.00 degrees
Element x y z (fractional)
1 Ce 0.000 0.000 0.000
2 Ce 0.500 0.500 0.000
3 Dy 0.000 0.500 0.500
4 Tm 0.500 0.000 0.500
5 S 0.248 0.000 0.736
6 S 0.258 0.500 0.266
7 S 0.742 0.500 0.734
8 S 0.752 0.000 0.264

***

[4]
A relaxed structure of CaNbPd6. Source: Alexandria via LeMat-Bulk, functional PBE.

Density in Mg/m³: 9.67
Symmetry: P4/mmm
ΔE_f in eV/f.u.: -4.1
Total moment in μB per atom: 0.00

Cell lengths 4.041, 4.041, 8.113 Å; angles 90.00, 90.00, 90.00 degrees
Element x y z (fractional)
1 Ca 0.000 0.000 0.000
2 Nb 0.000 0.000 0.500
3 Pd 0.000 0.500 0.268
4 Pd 0.000 0.500 0.732
5 Pd 0.500 0.000 0.268
6 Pd 0.500 0.000 0.732
7 Pd 0.500 0.500 0.000
8 Pd 0.500 0.500 0.500

* * * * *

# Ca3FeO

Ca3FeO after structural relaxation (PBE with a Hubbard U, Alexandria via LeMat-Bulk).

Cell: 4.872 4.872 4.872 Å, 90.00 90.00 90.00°
Site moments in Bohr magnetons follow the coordinates.
Sites, in units of the cell vectors:
Ca (0.000, 0.500, 0.000)  -0.05
Ca (0.000, 0.000, 0.500)  -0.06
Ca (0.500, 0.000, 0.000)  -0.07
Fe (0.500, 0.500, 0.500)  3.47
O (0.000, 0.000, 0.000)  -0.01

## Properties
Energy relative to the lowest polymorph listed for this composition = 0.000 eV/f.u.
Magnetic moment = 2.96 μB/cell
E_tot = -19.97 eV/f.u.
Symmetry = Pm-3m (221)
Fermi-level density of states = 17.4 states/eV per cell

* * * * *

Compound: Ba2Al3Zn
Source: Alexandria via LeMat-Bulk
Functional: PBE
Structure: relaxed

The structure in CIF format:
```
data_Ba2Al3Zn
_chemical_formula_sum 'Ba16 Al24 Zn8'
_cell_length_a 9.120
_cell_length_b 10.362
_cell_length_c 15.723
_cell_angle_alpha 90.00
_cell_angle_beta 90.00
_cell_angle_gamma 90.00
_space_group_name_H-M_alt 'F m m m'